Give your clients the clarity they need to pursue their personal goals in retirement.
For a limited time, Certified Financial Planners are able to buy packages of 10, 15 or 20 one-year registrations of our transformational program, Power Up Your Retirement, at an amazingly low price.
GIVE a one-year registration to your clients who are ready to start planning for their retirement lifestyle or who are struggling with the transition in retirement.
How do you know if they are struggling?
It is your experience that some of your clients...
● Don’t know when they will retire
● Are not ready to retire either emotionally or psychologically
● Have fears about retirement
● Don’t have any personal goals
● Have no idea of how they will fill their days
● Don’t know what their purpose is and how they will bring meaning into their lives; or
● Will struggle with loss of identity once they leave their work careers
Far from sailing off into retired bliss, some Canadians are nearing their retirement years with a mixture of anxiety and uncertainty.
# Here the page breaks off for calculated crystals
/*
# KLi2Si (PBE-GGA, relaxed)
data_KLi2Si
_cell_length_a 2.9078
_cell_length_b 4.3496
_cell_length_c 7.9956
_cell_angle_alpha 90.00
_cell_angle_beta 99.98
_cell_angle_gamma 90.00
_symmetry_space_group_name_H-M 'P 1 m 1'
_symmetry_Int_Tables_number 6
_symmetry_space_group_name_Hall 'P -2y'
loop_
_atom_site_label
_atom_site_fract_x
_atom_site_fract_y
_atom_site_fract_z
_atom_site_occupancy
K1 0.0000 0.0000 0.0000 1
Li1 0.7161 0.5000 0.4031 1
Li2 0.8126 0.0000 0.6071 1
Si1 0.3540 0.5000 0.6937 1
# * formation energy from raw total energies: 0.116 eV/atom

---

# BeZn2Ir (PBE-GGA, relaxed)
data_BeZn2Ir
_cell_length_a 5.8882
_cell_length_b 5.8882
_cell_length_c 5.8882
_cell_angle_alpha 90.00
_cell_angle_beta 90.00
_cell_angle_gamma 90.00
_symmetry_space_group_name_H-M 'F -4 3 m'
_symmetry_Int_Tables_number 216
_symmetry_space_group_name_Hall 'F -4 2 3'
loop_
_atom_site_label
_atom_site_fract_x
_atom_site_fract_y
_atom_site_fract_z
_atom_site_occupancy
Be1 0.0000 0.0000 0.0000 1
Zn1 0.0000 0.0000 0.5000 1
Zn2 0.2500 0.2500 0.2500 1
Ir1 0.2500 0.2500 0.7500 1
# * DFT formation energy: -0.13 eV/atom

---

# AlAgP2S (PBE-GGA, relaxed)
data_AlAgP2S
_cell_length_a 4.6646
_cell_length_b 4.6646
_cell_length_c 4.6442
_cell_angle_alpha 90.00
_cell_angle_beta 90.00
_cell_angle_gamma 90.00
_symmetry_space_group_name_H-M 'P 4/m m m'
_symmetry_Int_Tables_number 123
_symmetry_space_group_name_Hall '-P 4 2'
loop_
_atom_site_label
_atom_site_fract_x
_atom_site_fract_y
_atom_site_fract_z
_atom_site_occupancy
Al1 0.0000 0.0000 0.0000 1
Ag1 0.5000 0.5000 0.5000 1
P1 0.0000 0.5000 0.0000 1
S1 0.0000 0.0000 0.5000 1
# * formation energy from raw total energies: 0.593 eV/atom
# * E above lowest polymorph: 0.00 kcal/mol of atoms

---

# LuInRh (PBE-GGA, relaxed)
data_LuInRh
_cell_length_a 7.0183
_cell_length_b 4.0824
_cell_length_c 8.6510
_cell_angle_alpha 90.00
_cell_angle_beta 90.00
_cell_angle_gamma 90.00
_symmetry_space_group_name_H-M 'P n m a'
_symmetry_Int_Tables_number 62
_symmetry_space_group_name_Hall '-P 2ac 2n'
loop_
_atom_site_label
_atom_site_fract_x
_atom_site_fract_y
_atom_site_fract_z
_atom_site_occupancy
Lu1 0.0393 0.2500 0.1765 1
In1 0.1420 0.2500 0.5599 1
Rh1 0.2423 0.2500 0.8639 1
# * DFT formation energy: -0.76 eV/atom

---

# DyGa5Pd7 (PBE-GGA, relaxed)
data_DyGa5Pd7
_cell_length_a 5.3361
_cell_length_b 9.0235
_cell_length_c 8.7676
_cell_angle_alpha 90.00
_cell_angle_beta 90.00
_cell_angle_gamma 90.00
_symmetry_space_group_name_H-M 'I m m 2'
_symmetry_Int_Tables_number 44
_symmetry_space_group_name_Hall 'I 2 -2'
loop_
_atom_site_label
_atom_site_fract_x
_atom_site_fract_y
_atom_site_fract_z
_atom_site_occupancy
Dy1 0.0000 0.0000 0.0000 1
Ga1 0.0000 0.5000 0.2660 1
Ga2 0.2461 0.2591 0.7398 1
Pd1 0.0000 0.0000 0.3380 1
Pd2 0.0000 0.0000 0.6635 1
Pd3 0.0000 0.2951 0.4810 1
Pd4 0.0000 0.3389 0.0023 1
Pd5 0.0000 0.5000 0.7186 1
# * DFT formation energy: -0.63 eV/atom

---

# Ca2LaCdHg4 (PBE-GGA, relaxed)
data_Ca2LaCdHg4
_cell_length_a 5.2550
*/
The impact of non-financial issues like social, emotional and psychological factors play a big role in a person’s successful retirement.
Whether it’s missing the ‘comfort’ of a schedule, losing their identity, losing a sense of purpose, missing their social network or feeling bored, it’s common for people adjusting to retirement to experience a range of fears, worries, stress and anxiety.
Research has shown that almost half of people entering into retirement struggle with difficulty transitioning into a post-career life.
For many people who don’t plan or manage the transition well, the consequences can be significant.
Common issues include:
● Inactivity
● Increased levels of stress
● Depression
● Low self-esteem and self-confidence
● Isolation and loneliness
● Cognitive decline
● Alcohol and drug addictions; and
● Even early death and suicide (especially in men).
This is why it’s so important that people tend to their psychological portfolio as much as their financial portfolio and start planning for their post-career life.
A life plan will help individuals plan for their post-career life, identify their wants, desires and goals which will help them analyze whether or not they have the money to financially support this next phase of their life.
If they realize they might not have enough money to live their dream retirement, then they will be in an informed position to make changes hopefully before they retire to either modify their personal goals, readjust their expectations, increase their savings, continue working or a combination of all of these.
By developing a life plan, they may also realize they are not ready to retire and decide to continue working for a few more years.
The Redworks Communications Solution
That’s why I’m here and do what I do.
I give people the retirement reality check they need to help them conquer the emotional side of this incredible life transition and help them start the planning process.
I’m now offering a brand new package deal exclusively for Certified Financial Planners and Registered Retirement Consultants.
You can empower your clients with the tools needed to plan for a successful, happy and meaningful retirement with a registration for my transformational online program, Power UP Your Retirement.
With my program, your clients will:
✅ Generate a deeper understanding of their values, interests and priorities
✅ Rediscover their purpose and passions
✅ Gain clarity on what they really envision and desire in retirement
✅ Start to address fears they have about retirement
✅ Develop personal goals
✅ Develop a purpose-driven retirement lifestyle action plan
✅ And so much more!
This stellar program includes a high-quality video training series, live group coaching, an online community and other educational resources that support a successful transition into retirement.
For a limited time, Certified Financial Planners are able to buy packages of 10, 15 or 20 one-year registrations at an amazingly low price for you to GIVE away to your clients who are ready to start planning for their retirement lifestyle or who are struggling with the transition into retirement.
With this value-added service, you are giving your clients a great opportunity to start taking action to have a healthy, happy and meaningful retirement now or in the future.
For more information about the Power UP Your Retirement program, visit
If you have clients who you know would benefit from this program and for prices, contact us at
““If you prevent one person from retiring too early and save them the hard transition, mental problems and social losses, that is where the value is,”
Norm Lalonde, CFP, RRC, IG Wealth Management”